Liberty today released its operational update for the 3 months ended 31 March 2013 on SENS. Liberty¡¦s operating performance reflects continued sales momentum.
Group operating performance reflects continued sales momentum
The performance of the group for the three months to 31 March 2013 reflects continued sales momentum in the Retail SA business, strong cash inflows, and a good overall operational performance from the rest of the group¡¦s businesses. Returns on the shareholder investment portfolio benefitted from positive investment markets and good tactical asset allocation.
Key highlights:
* Long-term insurance indexed new business (excluding premium escalations) increased by 17% to R1.5 billion for the period.
* Net customer cash inflows of R6 billion reflecting an improvement on the R5 billion reported for the corresponding 2012 period.
* Total group assets under management increased to R549 billion from the R528 billion at 31 December 2012.
* The shareholder investment portfolio benefited from the portfolio construct and is tracking ahead of benchmark.
The capital adequacy level of Liberty Group Limited (LGL), the entity which conducts the bulk of the company's insurance activities, at 31 March 2013 was unchanged from 31 December 2012 at 2.7 times. The LGL position is after the contribution by LGL to Liberty Holdings Limited (LBH) to fund the declared 2012 final and special dividends which were paid by LBH in early April 2013. All the other life license subsidiaries remain well capitalised.
Retail SA sales up 14%
Retail SA indexed new business was up 14% for the period, with recurring new business up 17% to just under R1 billion and single premium new business up 7% to R3.5 billion. The increase is mainly driven by good growth in single premium investment business as well as credit life sales. ECM risk business up 7%.
Retail SA net cash inflows of R789 million for the quarter further demonstrates the good growth in single premium investment business.
LibFin returns ahead of benchmark
LibFin Investments continue to manage the shareholder investment portfolio within approved asset allocation limits, with returns for the three months ahead of the gross benchmark return.
Libfin Markets has managed the market risk exposures within a narrow range and good progress has been made during the period to further build the credit portfolio.
Institutional and Asset Management
Corporate new business up 57%
Corporate indexed new business increased by 57% to R166 million, mainly as a result of recurring premium business growing by 65% (supported by good risk and existing policy enhancement sales) and single premium investment business by 21%.
Corporate net cash outflows for the quarter remain negative at R168 million but are a considerable improvement on the negative R488 million reported for the same period in 2012. The business remains on track with its strategy to eliminate legacy issues and position the business for growth.
STANLIB AUM grow by 7%
(includes asset management operations in all African regions)
Assets under management (excluding the on-balance sheet property portfolio) at 31 March 2013 increased to R469 billion compared to R438 billion at 31 December 2012. This reflects continued strong inflows for the quarter into retail non money market funds of R4.5 billion. Total cash inflows (excluding intergroup) for the period are R5.4 billion. Underlying asset values continue to benefit from positive growth in investment markets.
/*
[1]
C20H28IN7O2V as an isolated structure, computed with the ωB97M-V functional and the def2-TZVPD basis.

## Properties
electronic energy = -69467.220 eV
orbital gap (spin up / spin down) = 4.04 / 4.85 eV
net charge = +4
spin multiplicity = 2
HOMO energy (spin up / spin down) = -19.1 / -19.1 eV
<S²> = 0.78

XYZ file:
```
59
Properties=species:S:1:pos:R:3:nbo_charge:R:1
V -0.213 -1.132 -0.298 1.599
O 2.304 4.030 -3.789 -0.711
C 3.038 2.850 -3.772 -0.129
C 2.305 1.851 -2.958 0.173
C 2.867 0.610 -2.622 -0.195
C 2.150 -0.260 -1.841 0.062
N 0.911 0.029 -1.380 -0.532
C 0.339 1.222 -1.724 0.253
C 1.010 2.136 -2.497 -0.212
C -1.014 1.399 -1.171 0.196
C -1.795 2.519 -1.288 -0.202
C -3.060 2.559 -0.675 0.196
C -3.884 3.787 -0.766 -0.133
O -3.208 4.719 -1.541 -0.709
C -3.497 1.428 0.040 -0.214
C -2.665 0.346 0.144 0.065
N -1.441 0.318 -0.447 -0.539
H 2.765 4.729 -4.264 0.524
H 4.053 2.972 -3.366 0.239
H 3.181 2.423 -4.781 0.245
H 3.859 0.332 -2.957 0.283
H 2.577 -1.214 -1.551 0.219
H 0.565 3.085 -2.769 0.298
H -1.469 3.386 -1.849 0.303
H -4.068 4.137 0.265 0.243
H -4.879 3.531 -1.163 0.249
H -3.716 5.531 -1.647 0.525
H -4.474 1.402 0.506 0.288
H -2.958 -0.531 0.716 0.236
C -0.222 -0.068 4.387 -0.424
N 0.377 -0.117 3.048 -0.364
C 0.432 1.177 2.366 -0.415
C 0.900 -1.228 2.526 0.659
N 0.777 -1.470 1.149 -0.754
N 1.527 -2.117 3.272 -0.302
C 2.157 -1.766 4.549 -0.429
C 1.691 -3.517 2.863 -0.448
H -1.280 0.177 4.281 0.238
H 0.244 0.713 4.989 0.250
H -0.143 -1.016 4.908 0.242
H 1.093 1.844 2.924 0.263
H -0.558 1.636 2.343 0.227
H 0.838 1.078 1.361 0.195
H 1.454 -2.191 0.859 0.431
H 2.224 -0.690 4.673 0.238
H 3.168 -2.179 4.546 0.263
H 1.628 -2.205 5.396 0.252
H 2.688 -3.696 2.453 0.244
H 0.923 -3.820 2.152 0.209
H 1.586 -4.152 3.742 0.281
I -3.760 -5.222 -2.900 0.425
C -2.047 -4.187 -2.318 -0.269
C -0.722 -4.501 -2.640 0.098
N 0.076 -3.590 -2.075 -0.299
N -0.652 -2.681 -1.382 -0.415
C -1.954 -3.044 -1.538 -0.021
H -0.338 -5.319 -3.235 0.299
H 1.081 -3.553 -2.150 0.448
H -2.773 -2.490 -1.102 0.257
```


[2]
A 5-piece molecular cluster, C43H92F3N2O5 overall, computed with the ωB97M-V functional and the def2-TZVPD basis.

## Properties
electronic energy = -67444.269 eV
orbital gap = 9.00 eV
net charge = +1
spin multiplicity = 1
HOMO energy = -11.1 eV

XYZ file:
```
145
Properties=species:S:1:pos:R:3:mulliken_charge:R:1
C 1.417 -4.581 2.298 -0.993
C 1.221 -3.368 1.729 -0.766
C 2.068 -2.855 0.601 -0.350
C 1.300 -1.828 -0.265 0.901
C 0.740 -2.528 -1.526 -0.405
O 0.722 -1.679 -2.657 -0.361
C 2.019 -1.277 -3.047 -0.065
C 1.829 -0.180 -4.109 -1.789
C 2.470 -0.583 -5.451 -1.003
C 2.618 0.598 -6.382 0.891
F 3.403 0.247 -7.431 -0.271
F 3.184 1.669 -5.778 -0.268
F 1.434 0.996 -6.892 -0.270
C 2.910 -0.808 -1.862 0.220
C 4.100 -1.748 -1.648 -2.259
N 4.766 -1.486 -0.374 -0.059
C 5.493 -2.702 0.066 -0.795
N 2.125 -0.628 -0.609 0.529
C 1.316 0.624 -0.735 -0.668
C 0.606 1.028 0.564 -0.991
C -0.920 0.771 0.307 0.007
C -1.592 1.805 -0.630 -0.698
C -2.519 1.066 -1.609 -0.610
*/
Here the article continues:
STANLIB¡¦s investment performance has been sustained at the recent improved levels.
Liberty Properties benefits from increased rental areas
Liberty Properties, which comprises property management and development has benefited from the increased rentals in the property portfolio and continues to focus on securing further development mandates.
Business Development
Liberty Africa long-term insurance new business up by 6%
Long-term insurance indexed new business increased by 6% compared to the equivalent 2012 period, with strong sales from the bancassurance channel. Short term insurance claims loss ratios remain at good levels and the investment environment in Kenya has remained stable following the election process.
Liberty Health makes steady progress
Growth in the Liberty Medical Scheme membership continues albeit slowly with steady progress being made in improving the operation and building scale to leverage the investment in systems and processes.
Direct Financial Services focused on affinity relationships
Management continues to focus on capitalising on the opportunities inherent in the affinity relationships with Vodacom and Standard Bank. This includes the continued effort to build a scalable solution that leverages the systems infrastructure supporting the direct channel.
The operational improvements delivered in 2012 have continued to benefit the business in the first quarter of 2013. Management¡¦s focus remains on ensuring that the core South African insurance operations are managed within acceptable sustainable long-term assumption sets, whilst gaining profitable market share in all business lines and markets in which the group operates. Liberty¡¦s balance sheet management capability continues to demonstrate the ability to manage the investment market risk exposures within risk appetite.
Records of molecules that have nothing to do with the entry.
-- begin --
(1)
{
  "formula": "H3N3O3S",
  "method": "ωB97M-V/def2-TZVPD",
  "elements": ["H", "N", "N", "N", "O", "O", "O", "S", "H", "H"],
  "positions_angstrom": [[-1.929, -2.610, -0.006], [-1.463, -1.756, -0.311], [-0.219, -1.786, -0.131], [0.445, -0.803, -0.564], [-0.021, 0.375, -1.116], [0.164, 1.518, -0.370], [1.854, -0.915, -0.520], [2.779, 0.316, 0.185], [-0.612, 2.096, -0.526], [2.410, 1.241, -0.701]],
  "smiles": "[H]/N=N/N(OO)OS",
  "gap_ha": 0.354,
  "molar_mass_da": 125.109,
  "lumo_ha": 0.00863,
  "energy_ev": -21487.26503
}



(2)
{
  "formula": "C53H61BF4Ge4NRh",
  "method": "ωB97M-V/def2-TZVPD",
  "elements": ["Rh", "C", "C", "Ge", "C", "C", "C", "C", "Ge", "C", "C", "C", "C", "C", "C", "C", "C", "C", "C", "H", "H", "H", "H", "H", "H", "H", "H", "H", "H", "H", "H", "H", "H", "H", "H", "H", "H", "H", "H", "H", "H", "H", "H", "H", "H", "C", "Ge", "C", "C", "C", "C", "C", "C", "C", "C", "C", "C", "C", "C", "C", "C", "C", "C", "C", "C", "H", "H", "H", "H", "H", "H", "H", "H", "H", "H", "H", "H", "H", "H", "H", "H", "C", "C", "C", "C", "C", "C", "N", "H", "H", "H", "H", "H", "H", "H", "H", "F", "B", "F", "F", "F", "Ge", "C", "C", "C", "C", "C", "C", "C", "C", "C", "C", "C", "C", "H", "H", "H", "H", "H", "H", "H", "H", "H", "H", "H"],
-- stop --
The operational update for the three months ended 31 March 2013 has not been audited or reviewed by the Company's auditors.